Assignment.
The reader should write out the whole of the block further below exactly.
Excerpt.
-- begin --
[1]
{
  "formula": "C20H27N5OS",
  "method": "wB97M-V/def2-TZVPD",
  "species": ["O", "C", "N", "H", "C", "C", "H", "C", "H", "C", "H", "H", "C", "H", "H", "H", "H", "H", "C", "H", "H", "S", "C", "N", "N", "C", "N", "C", "C", "C", "C", "C", "C", "H", "H", "H", "H", "H", "H", "H", "H", "H", "H", "H", "C", "C", "C", "C", "N", "C", "H", "H", "H", "H"],
  "coordinates": [[-4.356, -2.184, 0.178], [-3.615, -1.501, -0.498], [-3.527, -0.165, -0.444], [-2.788, 0.291, -0.978], [-4.194, 0.637, 0.558], [-4.839, 1.877, -0.093], [-4.734, 1.807, -1.175], [-4.079, 3.096, 0.449], [-4.627, 3.538, 1.283], [-2.754, 2.529, 0.954], [-2.068, 2.368, 0.120], [-2.268, 3.185, 1.675], [-3.174, 1.196, 1.563], [-3.659, 1.360, 2.526], [-2.341, 0.508, 1.711], [-3.939, 3.862, -0.311], [-5.902, 1.936, 0.135], [-4.925, -0.018, 1.038], [-2.681, -2.119, -1.541], [-2.573, -1.495, -2.426], [-3.036, -3.115, -1.801], [-1.016, -2.390, -0.854], [-0.342, -0.793, -0.976], [-0.975, 0.246, -1.463], [-0.160, 1.303, -1.377], [0.962, 0.912, -0.835], [0.909, -0.435, -0.559], [1.974, -1.277, -0.056], [2.331, -2.380, -1.055], [3.503, -3.195, -0.516], [3.152, -3.797, 0.841], [2.779, -2.700, 1.832], [1.608, -1.880, 1.301], [0.733, -2.522, 1.184], [1.352, -1.083, 2.004], [2.508, -3.140, 2.793], [3.639, -2.045, 1.994], [4.000, -4.368, 1.223], [2.309, -4.481, 0.725], [3.750, -3.987, -1.224], [4.379, -2.550, -0.414], [1.470, -3.034, -1.199], [2.588, -1.934, -2.018], [2.849, -0.627, 0.062], [2.071, 1.809, -0.557], [2.431, 2.770, -1.501], [3.478, 3.628, -1.217], [4.130, 3.491, 0.001], [3.773, 2.607, 0.916], [2.766, 1.798, 0.653], [2.489, 1.129, 1.457], [4.968, 4.122, 0.265], [3.784, 4.383, -1.923], [1.889, 2.827, -2.433]],
  "nbo_charge": [-0.633, 0.660, -0.636, 0.433, -0.062, -0.415, 0.212, -0.403, 0.195, -0.414, 0.211, 0.210, -0.408, 0.204, 0.212, 0.211, 0.215, 0.236, -0.602, 0.249, 0.256, 0.281, 0.192, -0.366, -0.271, 0.311, -0.356, -0.044, -0.406, -0.397, -0.398, -0.396, -0.414, 0.217, 0.215, 0.217, 0.197, 0.213, 0.198, 0.216, 0.196, 0.214, 0.216, 0.223, -0.130, -0.132, -0.251, 0.043, -0.412, 0.047, 0.192, 0.196, 0.224, 0.236],
  "max_force_ev_per_a": 1.2,
  "homo_energy_ev": -8.535,
  "e_above_lowest_ev": 0.069,
  "lumo_energy_ev": 0.53
}

***

[2]
{
  "formula": "C20H27N7ORuS",
  "method": "wB97M-V/def2-TZVPD",
  "species": ["Ru", "N", "C", "S", "N", "N", "C", "C", "C", "C", "C", "C", "C", "O", "H", "H", "H", "H", "H", "H", "H", "C", "N", "C", "C", "C", "N", "C", "C", "H", "H", "H", "H", "H", "H", "H", "H", "H", "H", "H", "H", "H", "H", "H", "H", "N", "C", "C", "C", "C", "C", "N", "C", "H", "H", "H", "H"],
-- stop --
Outcome.
[1]
{
  "formula": "C20H27N5OS",
  "method": "wB97M-V/def2-TZVPD",
  "species": ["O", "C", "N", "H", "C", "C", "H", "C", "H", "C", "H", "H", "C", "H", "H", "H", "H", "H", "C", "H", "H", "S", "C", "N", "N", "C", "N", "C", "C", "C", "C", "C", "C", "H", "H", "H", "H", "H", "H", "H", "H", "H", "H", "H", "C", "C", "C", "C", "N", "C", "H", "H", "H", "H"],
  "coordinates": [[-4.356, -2.184, 0.178], [-3.615, -1.501, -0.498], [-3.527, -0.165, -0.444], [-2.788, 0.291, -0.978], [-4.194, 0.637, 0.558], [-4.839, 1.877, -0.093], [-4.734, 1.807, -1.175], [-4.079, 3.096, 0.449], [-4.627, 3.538, 1.283], [-2.754, 2.529, 0.954], [-2.068, 2.368, 0.120], [-2.268, 3.185, 1.675], [-3.174, 1.196, 1.563], [-3.659, 1.360, 2.526], [-2.341, 0.508, 1.711], [-3.939, 3.862, -0.311], [-5.902, 1.936, 0.135], [-4.925, -0.018, 1.038], [-2.681, -2.119, -1.541], [-2.573, -1.495, -2.426], [-3.036, -3.115, -1.801], [-1.016, -2.390, -0.854], [-0.342, -0.793, -0.976], [-0.975, 0.246, -1.463], [-0.160, 1.303, -1.377], [0.962, 0.912, -0.835], [0.909, -0.435, -0.559], [1.974, -1.277, -0.056], [2.331, -2.380, -1.055], [3.503, -3.195, -0.516], [3.152, -3.797, 0.841], [2.779, -2.700, 1.832], [1.608, -1.880, 1.301], [0.733, -2.522, 1.184], [1.352, -1.083, 2.004], [2.508, -3.140, 2.793], [3.639, -2.045, 1.994], [4.000, -4.368, 1.223], [2.309, -4.481, 0.725], [3.750, -3.987, -1.224], [4.379, -2.550, -0.414], [1.470, -3.034, -1.199], [2.588, -1.934, -2.018], [2.849, -0.627, 0.062], [2.071, 1.809, -0.557], [2.431, 2.770, -1.501], [3.478, 3.628, -1.217], [4.130, 3.491, 0.001], [3.773, 2.607, 0.916], [2.766, 1.798, 0.653], [2.489, 1.129, 1.457], [4.968, 4.122, 0.265], [3.784, 4.383, -1.923], [1.889, 2.827, -2.433]],
  "nbo_charge": [-0.633, 0.660, -0.636, 0.433, -0.062, -0.415, 0.212, -0.403, 0.195, -0.414, 0.211, 0.210, -0.408, 0.204, 0.212, 0.211, 0.215, 0.236, -0.602, 0.249, 0.256, 0.281, 0.192, -0.366, -0.271, 0.311, -0.356, -0.044, -0.406, -0.397, -0.398, -0.396, -0.414, 0.217, 0.215, 0.217, 0.197, 0.213, 0.198, 0.216, 0.196, 0.214, 0.216, 0.223, -0.130, -0.132, -0.251, 0.043, -0.412, 0.047, 0.192, 0.196, 0.224, 0.236],
  "max_force_ev_per_a": 1.2,
  "homo_energy_ev": -8.535,
  "e_above_lowest_ev": 0.069,
  "lumo_energy_ev": 0.53
}

***

[2]
{
  "formula": "C20H27N7ORuS",
  "method": "wB97M-V/def2-TZVPD",
  "species": ["Ru", "N", "C", "S", "N", "N", "C", "C", "C", "C", "C", "C", "C", "O", "H", "H", "H", "H", "H", "H", "H", "C", "N", "C", "C", "C", "N", "C", "C", "H", "H", "H", "H", "H", "H", "H", "H", "H", "H", "H", "H", "H", "H", "H", "H", "N", "C", "C", "C", "C", "C", "N", "C", "H", "H", "H", "H"],